Given:
<w>
Material: Mg5AlH21O17
Method: DFT, PBE
State: relaxed

POSCAR file:
```
Mg5AlH21O17
1.0
2.9717 0.0635 7.4289
1.3831 2.7336 7.4712
-0.6968 0.3510 48.3118
Mg Al H O
5 1 21 17
direct
0.0530 0.9918 0.9927
0.0514 0.9775 0.1596
0.0386 0.9919 0.4956
0.0507 0.9804 0.3282
0.0373 0.0069 0.6585
0.0386 0.0063 0.8253
0.4714 0.3823 0.0663
0.1778 0.9523 0.2372
0.6402 0.6066 0.0811
0.5463 0.3707 0.2212
0.1204 0.0218 0.4030
0.6669 0.4646 0.2684
0.5264 0.3300 0.4000
0.9916 0.1074 0.5676
0.7831 0.8397 0.3030
0.6453 0.5044 0.4331
0.4708 0.3653 0.5705
0.7131 0.3777 0.7355
0.6992 0.8975 0.4824
0.6156 0.5579 0.5946
0.3669 0.4279 0.7418
0.0161 0.5134 0.8290
0.5093 0.0811 0.6530
0.5446 0.6290 0.7619
0.5378 0.4072 0.8843
0.6967 0.5970 0.9096
0.9872 0.0200 0.9146
0.4504 0.3687 0.0518
0.6839 0.6352 0.0896
0.4525 0.3575 0.2186
0.8336 0.1198 0.2573
0.6595 0.6184 0.2634
0.4405 0.3535 0.3901
0.7709 0.1777 0.4268
0.6472 0.6236 0.4330
0.4118 0.3513 0.5619
0.6338 0.3354 0.5885
0.6312 0.6201 0.6023
0.3767 0.3382 0.7347
0.4013 0.6823 0.7402
0.6124 0.6211 0.7732
0.4599 0.3829 0.8804
0.7642 0.3805 0.8911
0.7004 0.6620 0.9189
```

Output
space-group type = P1

<x>
Material: Mg5AlH21O17
Method: DFT, PBE
State: relaxed

POSCAR file:
```
Mg5AlH21O17
1.0
3.1152 0.0000 0.0000
-1.5229 7.8857 0.0000
-0.2580 -1.7863 15.9949
Mg Al H O
5 1 21 17
direct
0.9999 0.0059 0.9991
0.4856 0.9972 0.1670
0.4965 0.0041 0.4994
0.9842 0.9998 0.3342
0.0039 0.9943 0.6584
0.4998 0.9942 0.8283
0.6254 0.2543 0.0810
0.7825 0.5086 0.2075
0.8754 0.7436 0.1012
0.1755 0.2523 0.2350
0.3058 0.5046 0.3829
0.4228 0.7429 0.2659
0.6812 0.2553 0.4035
0.6797 0.5031 0.5407
0.7190 0.4967 0.3000
0.9264 0.7481 0.4357
0.1742 0.2619 0.5655
0.1188 0.4989 0.6933
0.1539 0.5002 0.4735
0.4167 0.7372 0.5921
0.6462 0.2428 0.7400
0.6646 0.5011 0.8554
0.6619 0.5026 0.6526
0.8890 0.7440 0.7557
0.1566 0.2499 0.8875
0.4347 0.7574 0.9153
0.7167 0.5026 0.9510
0.5638 0.1376 0.0554
0.9134 0.8643 0.0964
0.0548 0.1319 0.2225
0.5505 0.4971 0.2475
0.4093 0.8623 0.2663
0.5547 0.1351 0.3941
0.0351 0.5002 0.4134
0.9243 0.8685 0.4381
0.0695 0.1385 0.5652
0.4004 0.5028 0.5669
0.4381 0.8611 0.6073
0.5587 0.1190 0.7379
0.8232 0.5073 0.7112
0.9380 0.8653 0.7797
0.0699 0.1258 0.8839
0.4982 0.4997 0.9066
0.4463 0.8800 0.9253
```

Output
space-group type = P1

Which of them is least stable? Easy: <x>.

<w>
Material: AlH3O3
Method: DFT, PBE
State: relaxed

POSCAR file:
```
AlH3O3
1.0
9.4659 0.0000 0.0000
0.0000 5.2309 0.0000
0.0000 0.2166 8.6648
Al H O
8 24 24
direct
0.7493 0.0129 0.1719
0.7520 0.4950 0.6720
0.2523 0.5053 0.8315
0.2478 0.9860 0.3330
0.7522 0.9860 0.8330
0.7477 0.5053 0.3315
0.2480 0.4950 0.1720
0.2507 0.0129 0.6719
0.6202 0.8015 0.4985
0.8703 0.6904 0.0273
0.3798 0.2997 0.4944
0.1211 0.1959 0.0056
0.8789 0.1959 0.5056
0.6202 0.2997 0.9944
0.1297 0.6904 0.5273
0.3798 0.8015 0.9985
0.5414 0.7200 0.2134
0.9588 0.7863 0.7098
0.4607 0.2129 0.7868
0.0947 0.3449 0.4095
0.9053 0.3449 0.9095
0.5393 0.2129 0.2868
0.0412 0.7863 0.2098
0.4586 0.7200 0.7134
0.6079 0.1421 0.5845
0.9562 0.3128 0.2018
0.4116 0.6347 0.4105
0.0862 0.8611 0.9077
0.9138 0.8611 0.4077
0.5884 0.6347 0.9105
0.0438 0.3128 0.7018
0.3921 0.1421 0.0845
0.6367 0.6182 0.5036
0.8629 0.8740 0.0071
0.3611 0.1174 0.4978
0.1383 0.3790 0.0000
0.8617 0.3790 0.5000
0.6389 0.1174 0.9978
0.1371 0.8740 0.5071
0.3633 0.6182 0.0036
0.6415 0.7013 0.1864
0.8578 0.8018 0.6851
0.3610 0.1966 0.8174
0.1359 0.2910 0.3125
0.8641 0.2910 0.8125
0.6390 0.1966 0.3174
0.1422 0.8018 0.1851
0.3585 0.7013 0.6864
0.6423 0.1875 0.6862
0.8552 0.3285 0.1782
0.3597 0.6840 0.3173
0.1389 0.8140 0.8160
0.8611 0.8140 0.3160
0.6403 0.6840 0.8173
0.1448 0.3285 0.6782
0.3577 0.1875 0.1862
```

Output
space-group type = Pc

<x>
Material: AlH3O3
Method: DFT, PBE
State: relaxed

POSCAR file:
```
AlH3O3
1.0
5.1725 0.0000 0.0000
0.9566 6.2500 0.0000
0.5839 0.6667 6.6950
Al H O
4 12 12
direct
0.5392 0.1652 0.8332
0.4916 0.8308 0.1727
0.0226 0.3280 0.6688
0.0080 0.6692 0.3374
0.1921 0.9510 0.8127

Exercise:
Please copy all of the calculation results earlier on word for word.

Here it is:
<w>
Material: Mg5AlH21O17
Method: DFT, PBE
State: relaxed

POSCAR file:
```
Mg5AlH21O17
1.0
2.9717 0.0635 7.4289
1.3831 2.7336 7.4712
-0.6968 0.3510 48.3118
Mg Al H O
5 1 21 17
direct
0.0530 0.9918 0.9927
0.0514 0.9775 0.1596
0.0386 0.9919 0.4956
0.0507 0.9804 0.3282
0.0373 0.0069 0.6585
0.0386 0.0063 0.8253
0.4714 0.3823 0.0663
0.1778 0.9523 0.2372
0.6402 0.6066 0.0811
0.5463 0.3707 0.2212
0.1204 0.0218 0.4030
0.6669 0.4646 0.2684
0.5264 0.3300 0.4000
0.9916 0.1074 0.5676
0.7831 0.8397 0.3030
0.6453 0.5044 0.4331
0.4708 0.3653 0.5705
0.7131 0.3777 0.7355
0.6992 0.8975 0.4824
0.6156 0.5579 0.5946
0.3669 0.4279 0.7418
0.0161 0.5134 0.8290
0.5093 0.0811 0.6530
0.5446 0.6290 0.7619
0.5378 0.4072 0.8843
0.6967 0.5970 0.9096
0.9872 0.0200 0.9146
0.4504 0.3687 0.0518
0.6839 0.6352 0.0896
0.4525 0.3575 0.2186
0.8336 0.1198 0.2573
0.6595 0.6184 0.2634
0.4405 0.3535 0.3901
0.7709 0.1777 0.4268
0.6472 0.6236 0.4330
0.4118 0.3513 0.5619
0.6338 0.3354 0.5885
0.6312 0.6201 0.6023
0.3767 0.3382 0.7347
0.4013 0.6823 0.7402
0.6124 0.6211 0.7732
0.4599 0.3829 0.8804
0.7642 0.3805 0.8911
0.7004 0.6620 0.9189
```

Output
space-group type = P1

<x>
Material: Mg5AlH21O17
Method: DFT, PBE
State: relaxed

POSCAR file:
```
Mg5AlH21O17
1.0
3.1152 0.0000 0.0000
-1.5229 7.8857 0.0000
-0.2580 -1.7863 15.9949
Mg Al H O
5 1 21 17
direct
0.9999 0.0059 0.9991
0.4856 0.9972 0.1670
0.4965 0.0041 0.4994
0.9842 0.9998 0.3342
0.0039 0.9943 0.6584
0.4998 0.9942 0.8283
0.6254 0.2543 0.0810
0.7825 0.5086 0.2075
0.8754 0.7436 0.1012
0.1755 0.2523 0.2350
0.3058 0.5046 0.3829
0.4228 0.7429 0.2659
0.6812 0.2553 0.4035
0.6797 0.5031 0.5407
0.7190 0.4967 0.3000
0.9264 0.7481 0.4357
0.1742 0.2619 0.5655
0.1188 0.4989 0.6933
0.1539 0.5002 0.4735
0.4167 0.7372 0.5921
0.6462 0.2428 0.7400
0.6646 0.5011 0.8554
0.6619 0.5026 0.6526
0.8890 0.7440 0.7557
0.1566 0.2499 0.8875
0.4347 0.7574 0.9153
0.7167 0.5026 0.9510
0.5638 0.1376 0.0554
0.9134 0.8643 0.0964
0.0548 0.1319 0.2225
0.5505 0.4971 0.2475
0.4093 0.8623 0.2663
0.5547 0.1351 0.3941
0.0351 0.5002 0.4134
0.9243 0.8685 0.4381
0.0695 0.1385 0.5652
0.4004 0.5028 0.5669
0.4381 0.8611 0.6073
0.5587 0.1190 0.7379
0.8232 0.5073 0.7112
0.9380 0.8653 0.7797
0.0699 0.1258 0.8839
0.4982 0.4997 0.9066
0.4463 0.8800 0.9253
```

Output
space-group type = P1

Which of them is least stable? Easy: <x>.

<w>
Material: AlH3O3
Method: DFT, PBE
State: relaxed

POSCAR file:
```
AlH3O3
1.0
9.4659 0.0000 0.0000
0.0000 5.2309 0.0000
0.0000 0.2166 8.6648
Al H O
8 24 24
direct
0.7493 0.0129 0.1719
0.7520 0.4950 0.6720
0.2523 0.5053 0.8315
0.2478 0.9860 0.3330
0.7522 0.9860 0.8330
0.7477 0.5053 0.3315
0.2480 0.4950 0.1720
0.2507 0.0129 0.6719
0.6202 0.8015 0.4985
0.8703 0.6904 0.0273
0.3798 0.2997 0.4944
0.1211 0.1959 0.0056
0.8789 0.1959 0.5056
0.6202 0.2997 0.9944
0.1297 0.6904 0.5273
0.3798 0.8015 0.9985
0.5414 0.7200 0.2134
0.9588 0.7863 0.7098
0.4607 0.2129 0.7868
0.0947 0.3449 0.4095
0.9053 0.3449 0.9095
0.5393 0.2129 0.2868
0.0412 0.7863 0.2098
0.4586 0.7200 0.7134
0.6079 0.1421 0.5845
0.9562 0.3128 0.2018
0.4116 0.6347 0.4105
0.0862 0.8611 0.9077
0.9138 0.8611 0.4077
0.5884 0.6347 0.9105
0.0438 0.3128 0.7018
0.3921 0.1421 0.0845
0.6367 0.6182 0.5036
0.8629 0.8740 0.0071
0.3611 0.1174 0.4978
0.1383 0.3790 0.0000
0.8617 0.3790 0.5000
0.6389 0.1174 0.9978
0.1371 0.8740 0.5071
0.3633 0.6182 0.0036
0.6415 0.7013 0.1864
0.8578 0.8018 0.6851
0.3610 0.1966 0.8174
0.1359 0.2910 0.3125
0.8641 0.2910 0.8125
0.6390 0.1966 0.3174
0.1422 0.8018 0.1851
0.3585 0.7013 0.6864
0.6423 0.1875 0.6862
0.8552 0.3285 0.1782
0.3597 0.6840 0.3173
0.1389 0.8140 0.8160
0.8611 0.8140 0.3160
0.6403 0.6840 0.8173
0.1448 0.3285 0.6782
0.3577 0.1875 0.1862
```

Output
space-group type = Pc

<x>
Material: AlH3O3
Method: DFT, PBE
State: relaxed

POSCAR file:
```
AlH3O3
1.0
5.1725 0.0000 0.0000
0.9566 6.2500 0.0000
0.5839 0.6667 6.6950
Al H O
4 12 12
direct
0.5392 0.1652 0.8332
0.4916 0.8308 0.1727
0.0226 0.3280 0.6688
0.0080 0.6692 0.3374
0.1921 0.9510 0.8127